How to weave the burning candles band

The other day I posted an image of this band on my instan stories and got a lot of questions on how to weave on it. As I have been thinking of releasing an add-on to my Simple weave book with band patterns, I thought I’d give it a go, and offer it for sale in my webshop.
But then I thought of another idea. Since I did the raffle for civilian aid last month I’ve been thinking of something I could share with all people who stand up for the basic human rights of civilians, and not just a single raffle winner and this seems to be the perfect thing! A link to the pattern can be found at the bottom of this page.

So this is what I’ve done: I’ve posted the description on how to weave this pattern behind a password. The password is the first word in an Email you will get from Amnesty International if you go to this site, and sign a petition for a cease fire in Gaza.
The aim with the petition is to urge world leaders to work for a cease fire, which would allow for time to calmly negociate for a hostage exchange between two parties involved, as well as make it safe for food, medical supplies and water to be distributed in Gaza. Here is the link to the petition. Signing up is free and I won’t be tracking who or how many people signed up.

What am I getting here?
On the password protected page there is a description on how to weave bands patterned with stripes that go in a 90 degree angle against the background pattern. To read it you will need to be familiar with band weaving already. If you are not, I have written an extensive guide in my book “Simple weave“, available in the webshop, and there’s a quick walkthrough in the highlights on my instagram. It’s named “Band weaving“.

How do I get the instruction again? Sign up for a cease fire in Gaza at, recieve their confirmation Email, open it, and enter the first word in the Email as the password for the web page linked at the bottom of this blog post. Please sign the petition I have linked, on the English version of, because if you don’t I don’t know what word the confirmation letter will start with.

I think you are wrong in doing this and I’m gonna tell you exactly why!
If you don’t want to support this cause, that’s fine. If you want to put energy into writing me hate filled messages because you don’t agree with me I can’t stop you. But I would suggest you take that energy and use it for something productive. Maybe you can design a band that has a theme of the cause you want to shine a light on, and then publish it on your own website?

Inserted here: materials data.
<<<
Record 1
# PBE Rb2Li14Pr3O14, optimized geometry
# total DFT energy (no corrections) = -177.14 eV for the cell shown
# crystal system = orthorhombic
# DFT formation energy = -2.256 eV per atom
# total magnetization = 2.999 μB/f.u.
# E (MP2020) = -186.755 eV/cell
data_Rb2Li14Pr3O14
_symmetry_space_group_name_H-M 'P 1'
_symmetry_Int_Tables_number 1
_cell_length_a 8.860
_cell_length_b 8.860
_cell_length_c 8.860
_cell_angle_alpha 129.96
_cell_angle_beta 123.56
_cell_angle_gamma 78.75
loop_
_symmetry_equiv_pos_as_xyz
'x,y,z'
loop_
_atom_site_label
_atom_site_type_symbol
_atom_site_fract_x
_atom_site_fract_y
_atom_site_fract_z
_atom_site_occupancy
Rb1 Rb 0.000 0.238 0.238 1
Rb2 Rb 0.000 0.762 0.762 1
Li1 Li 0.086 0.231 0.854 1
Li2 Li 0.213 0.145 0.624 1
Li3 Li 0.213 0.589 0.068 1
Li4 Li 0.341 0.500 0.841 1
Li5 Li 0.377 0.231 0.146 1
Li6 Li 0.479 0.411 0.624 1
Li7 Li 0.479 0.855 0.068 1
Li8 Li 0.521 0.145 0.932 1
Li9 Li 0.521 0.589 0.376 1
Li10 Li 0.623 0.769 0.854 1
Li11 Li 0.659 0.500 0.159 1
Li12 Li 0.787 0.411 0.932 1
Li13 Li 0.787 0.855 0.376 1
Li14 Li 0.914 0.769 0.146 1
Pr1 Pr 0.228 0.728 0.500 1
Pr2 Pr 0.500 0.000 0.500 1
Pr3 Pr 0.772 0.272 0.500 1
O1 O 0.098 0.376 0.722 1
O2 O 0.178 0.868 0.310 1
O3 O 0.259 0.064 0.805 1
O4 O 0.259 0.454 0.195 1
O5 O 0.347 0.624 0.722 1
O6 O 0.442 0.132 0.310 1
O7 O 0.500 0.306 0.806 1
O8 O 0.500 0.694 0.194 1
O9 O 0.558 0.868 0.690 1
O10 O 0.653 0.376 0.278 1
O11 O 0.741 0.546 0.805 1
O12 O 0.741 0.936 0.195 1
O13 O 0.822 0.132 0.690 1
O14 O 0.902 0.624 0.278 1

***

Record 2
# PBE LiPr2RuO6, optimized geometry
# total DFT energy (no corrections) = -148.41 eV for the cell shown
# crystal system = monoclinic
# DFT formation energy = -2.789 eV per atom
# total magnetization = 3.001 μB/f.u.
# E (MP2020) = -156.654 eV/cell
data_LiPr2RuO6
_symmetry_space_group_name_H-M 'P 1'
_symmetry_Int_Tables_number 1
_cell_length_a 5.511
_cell_length_b 5.802
_cell_length_c 9.539
_cell_angle_alpha 90.00
_cell_angle_beta 124.82
_cell_angle_gamma 90.00
loop_
_symmetry_equiv_pos_as_xyz
'x,y,z'
loop_
_atom_site_label
_atom_site_type_symbol
_atom_site_fract_x
_atom_site_fract_y
_atom_site_fract_z
_atom_site_occupancy
Li1 Li 0.000 0.000 0.000 1
Li2 Li 0.000 0.500 0.500 1
Pr1 Pr 0.234 0.067 0.749 1
Pr2 Pr 0.234 0.433 0.249 1
Pr3 Pr 0.766 0.567 0.751 1
Pr4 Pr 0.766 0.933 0.251 1
Ru1 Ru 0.500 0.000 0.500 1
Ru2 Ru 0.500 0.500 0.000 1
O1 O 0.161 0.189 0.453 1
O2 O 0.161 0.311 0.953 1
O3 O 0.264 0.713 0.450 1
O4 O 0.264 0.787 0.950 1
O5 O 0.350 0.026 0.256 1
O6 O 0.350 0.474 0.756 1
O7 O 0.650 0.526 0.244 1
O8 O 0.650 0.974 0.744 1
O9 O 0.736 0.213 0.050 1
O10 O 0.736 0.287 0.550 1
O11 O 0.839 0.689 0.047 1
O12 O 0.839 0.811 0.547 1

***

Record 3
# PBE Li2PtO3, optimized geometry
# total DFT energy (no corrections) = -393.20 eV for the cell shown
# crystal system = monoclinic
# DFT formation energy = -1.682 eV per atom
# E (MP2020) = -417.934 eV/cell
data_Li2PtO3
_symmetry_space_group_name_H-M 'P 1'
_symmetry_Int_Tables_number 1
>>>

With all that said, here’s the link to the description!

## The page is interrupted by materials data
<<<
1.
Material: Sr2CuCO5
Method: DFT, GGA-PBE
State: optimized geometry

Summary:
Volume, Å³/cell: 950.2
E above lowest polymorph, eV/atom: 0.000

Cell lengths 7.8777, 7.8777, 15.3108 Å; angles 90.00, 90.00, 90.00 degrees
Last column: nearest neighbours and their distance in Å.
Space group I-4 (No. 82)
Unique sites:
Sr  0.0000  0.0000  0.1137 [4 per cell]  8 O 2.54-2.78
Sr  0.0000  0.0000  0.3864 [4 per cell]  6 O 2.55-2.72
Sr  0.0000  0.5000  0.1035 [4 per cell]  8 O 2.57-2.62
Sr  0.0000  0.5000  0.6198 [4 per cell]  6 O 2.59-2.86
Cu  0.2499  0.2501  0.0000 [8 per cell]  4 O 1.97-1.98
C  0.2360  0.2425  0.2511 [8 per cell]  3 O 1.29-1.31
O  0.0002  0.2510  0.5086 [8 per cell]  2 Cu 1.97
O  0.9998  0.2505  0.9905 [8 per cell]  2 Cu 1.97-1.98
O  0.0778  0.7630  0.7579 [8 per cell]  1 C 1.31
O  0.1612  0.7380  0.3174 [8 per cell]  1 C 1.29
O  0.1919  0.7333  0.1709 [8 per cell]  1 C 1.30


2.
Material: ZrTiSiS2O12
Method: DFT, GGA-PBE
State: optimized geometry

Summary:
Volume, Å³/cell: 1555.0

Cell lengths 8.8567, 8.8682, 22.8516 Å; angles 90.00, 90.14, 119.96 degrees
Last column: nearest neighbours and their distance in Å.
Space group P1 (No. 1)
Unique sites:
Zr  0.0000  0.0000  0.0000 [1 per cell]  4 O 1.94-2.17
Zr  0.0011  0.9989  0.4920 [1 per cell]  3 O 1.94-2.14
Zr  0.3094  0.6657  0.6621 [1 per cell]  3 O 1.93-2.13
Zr  0.3214  0.6673  0.4445 [1 per cell]  6 O 2.01-2.23
Zr  0.6523  0.3255  0.8313 [1 per cell]  6 O 1.99-2.17
Zr  0.9910  0.9786  0.7803 [1 per cell]  3 O 1.94-2.15
Ti  0.3079  0.6389  0.1638 [1 per cell]  2 O 1.77-1.81
Ti  0.3194  0.6559  0.9519 [1 per cell]  4 O 1.82-2.03
Ti  0.6479  0.3174  0.1149 [1 per cell]  5 O 1.85-2.07
Ti  0.6525  0.3298  0.3229 [1 per cell]  5 O 1.84-2.05
Ti  0.6515  0.3312  0.6133 [1 per cell]  4 O 1.82-2.02
Ti  0.9958  0.0169  0.2779 [1 per cell]  2 O 1.78-1.80
Si  0.2687  0.9767  0.8907 [1 per cell]  4 O 1.61-1.64
Si  0.2787  0.2798  0.3831 [1 per cell]  4 O 1.61-1.67
Si  0.3302  0.9573  0.5542 [1 per cell]  4 O 1.62-1.63
Si  0.3318  0.3870  0.0568 [1 per cell]  4 O 1.63-1.65
Si  0.9249  0.6029  0.7193 [1 per cell]  4 O 1.61-1.64
Si  0.9285  0.3255  0.2199 [1 per cell]  4 O 1.63-1.65
S  0.0216  0.3718  0.5540 [1 per cell]  4 O 1.48
S  0.0303  0.6459  0.0576 [1 per cell]  4 O 1.48-1.49
S  0.3651  0.0394  0.2194 [1 per cell]  4 O 1.48-1.50
S  0.3683  0.3235  0.7188 [1 per cell]  4 O 1.47-1.48
S  0.5893  0.9407  0.0568 [1 per cell]  4 O 1.46-1.50
S  0.6032  0.6515  0.5540 [1 per cell]  4 O 1.47-1.49
S  0.6530  0.6119  0.2204 [1 per cell]  4 O 1.48-1.50
S  0.6565  0.0474  0.7199 [1 per cell]  4 O 1.47-1.49
S  0.6878  0.7100  0.8899 [1 per cell]  4 O 1.47-1.49
S  0.7032  0.0009  0.3821 [1 per cell]  4 O 1.48-1.49
S  0.9723  0.7022  0.3828 [1 per cell]  4 O 1.46-1.49
S  0.9947  0.2849  0.8904 [1 per cell]  4 O 1.47-1.49
O  0.0013  0.8131  0.3318 [1 per cell]  1 S 1.46
O  0.0031  0.7977  0.0502 [1 per cell]  1 S 1.49
O  0.0194  0.2064  0.8371 [1 per cell]  1 S 1.47
>>>


Heddle release: December 3, 2023


Civilian aid raffle, October 2023